Job >
The reader should count the lines underneath that contain the word "Direct" and give the number alone.
Excerpt >
The following is a calculated powder diffractogram of Na3LiCd4. It was derived from a PBE-relaxed structure, using λ = 1.5418 Å (Cu Kα).

```
Na3LiCd4
1.0
4.986 0.000 0.000
0.000 4.986 0.000
0.000 0.000 7.033
Na Li Cd
3 1 4
direct
0.000 0.000 0.000
0.000 0.500 0.744
0.500 0.000 0.256
0.500 0.500 0.500
0.000 0.000 0.500
0.000 0.500 0.263
0.500 0.000 0.737
0.500 0.500 0.000
```

Principal peaks in the range 2θ from 10° to 90°, in order of rising 2θ:
| Position (°2θ) | Rel. int. |
| --- | --- |
| 21.9 | 607 |
| 36.1 | 1000 |
| 42.6 | 311 |
| 51.9 | 114 |
| 57.0 | 126 |
| 64.8 | 326 |
| 69.3 | 70 |
| 76.5 | 64 |
| 80.6 | 62 |
| 87.5 | 96 |



The following is a calculated powder diffractogram of Pr2GdSn3Pd2Pt. It was derived from a PBE-relaxed structure, using λ = 1.5418 Å (Cu Kα).

```
Pr2GdSn3Pd2Pt
1.0
4.126 0.000 0.000
0.000 6.623 3.826
0.000 -6.623 3.826
Pr Gd Sn Pd Pt
2 1 3 2 1
direct
0.000 0.205 0.795
0.000 0.795 0.205
0.000 0.387 0.387
0.500 0.048 0.048
0.500 0.540 0.792
0.500 0.792 0.540
0.500 0.133 0.459
0.500 0.459 0.133
0.000 0.790 0.790
```

Principal peaks in the range 2θ from 10° to 90°, in order of rising 2θ:
| Position (°2θ) | Rel. int. |
| --- | --- |
| 31.9 | 787 |
| 34.7 | 1000 |
| 35.9 | 381 |
| 40.9 | 361 |
| 42.2 | 352 |
| 43.9 | 270 |
| 54.7 | 123 |
| 57.9 | 194 |
| 61.5 | 217 |
| 65.4 | 337 |



The following is a calculated powder diffractogram of Sc3AuCN. It was derived from a PBE-relaxed structure, using λ = 1.5418 Å (Cu Kα).

```
Sc3AuCN
1.0
3.310 0.000 0.000
-1.655 2.867 0.000
0.000 0.000 18.942
Sc Au C N
6 2 2 2
direct
0.000 0.000 0.000
0.000 0.000 0.500
0.333 0.667 0.129
0.333 0.667 0.367
0.667 0.333 0.633
0.667 0.333 0.871
0.000 0.000 0.244
0.000 0.000 0.756
0.333 0.667 0.576
0.667 0.333 0.424
0.333 0.667 0.930
0.667 0.333 0.070
```

Principal peaks in the range 2θ from 10° to 90°, in order of rising 2θ:
| Position (°2θ) | Rel. int. |
| --- | --- |
| 18.7 | 208 |
| 31.2 | 318 |
| 32.6 | 403 |
| 36.6 | 1000 |
| 38.0 | 161 |
| 42.6 | 179 |
| 50.0 | 202 |
| 55.5 | 217 |
| 68.4 | 155 |
| 69.3 | 162 |



The following is a calculated powder diffractogram of Rb2ErLuS4. It was derived from a PBE-relaxed structure, using λ = 1.5418 Å (Cu Kα).

```
Rb2ErLuS4
1.0
4.006 0.000 0.000
-2.003 3.469 0.000
0.000 0.000 15.339
Rb Er Lu S
2 1 1 4
direct
0.333 0.667 0.250
0.667 0.333 0.750
0.000 0.000 0.500
0.000 0.000 0.000
0.333 0.667 0.596
0.333 0.667 0.906
0.667 0.333 0.094
0.667 0.333 0.404
```

Principal peaks in the range 2θ from 10° to 90°, in order of rising 2θ:
| Position (°2θ) | Rel. int. |
| --- | --- |
| 11.5 | 384 |
| 23.2 | 284 |
| 28.2 | 1000 |
| 31.2 | 340 |
| 34.9 | 323 |
| 44.0 | 437 |
| 45.3 | 350 |
| 51.5 | 210 |
| 54.2 | 165 |
| 73.2 | 149 |

=====

Structure and calculated X-ray powder pattern of LiCa2Ti3O8 (a structure optimized by DFT (GGA-PBE); Cu Kα (weighted mean of Kα1 and Kα2)).
Kinematic intensities with the Lorentz-polarization factor, no thermal factor.

Principal peaks in the range 5° ≤ 2θ ≤ 70°, by intensity:
2θ/deg	Rel. int.
40.53	100.0
15.89	84.8
17.68	80.5
33.61	79.2
61.06	46.0
56.19	45.0
31.69	40.9
34.54	36.7
51.68	33.2
53.64	26.1

Cell and atoms:
```
LiCa2Ti3O8
1.0
3.035 1.752 5.579
-3.035 1.752 5.579
0.000 -3.505 5.579
Li Ca Ti O
1 2 3 8
Direct
0.000 0.000 0.000
0.426 0.426 0.426
0.795 0.795 0.795
0.424 0.424 0.932
0.424 0.932 0.424
0.932 0.424 0.424
0.174 0.174 0.631
0.174 0.631 0.174
0.198 0.198 0.198
0.225 0.679 0.679
0.631 0.174 0.174
0.658 0.658 0.658
0.679 0.225 0.679
0.679 0.679 0.225
```
Here it is >
1